### Wanted
Next, start at the top of the entries further below and retype each line, ending with the one that has "0.7497 0.9216".
### Input
'''
Record 1
The following is a simulated X-ray diffraction stick pattern of YSnO3. It was derived from a DFT-relaxed cell (GGA-PBE, the Materials Project), using Cu Kα (λ = 1.5418 Å).
Neutral-atom scattering factors, no anomalous dispersion.

Peak list (12 most intense, 10° ≤ 2θ ≤ 90°, low angle first)
| d (Å) | two_theta | I (rel.) |
| --- | --- | --- |
| 2.971 | 30.1 | 100.0 |
| 2.959 | 30.2 | 74.1 |
| 2.831 | 31.6 | 27.1 |
| 2.150 | 42.0 | 16.7 |
| 2.048 | 44.2 | 25.3 |
| 1.741 | 52.6 | 16.7 |
| 1.717 | 53.3 | 9.9 |
| 1.712 | 53.5 | 20.5 |
| 1.663 | 55.2 | 16.4 |
| 1.656 | 55.5 | 16.3 |
| 1.486 | 62.5 | 8.0 |
| 1.351 | 69.6 | 8.5 |

```
YSnO3
1.0
5.6621 0.0000 0.0000
0.0000 5.9325 0.0000
-5.6066 0.0000 8.5995
Y Sn O
4 4 12
Direct
0.2262 0.0613 0.2497 Y
0.2262 0.4387 0.7497 Y
0.7738 0.5613 0.2503 Y
0.7738 0.9387 0.7503 Y
0.0000 0.0000 0.5000 Sn
0.0000 0.5000 0.0000 Sn
0.5000 0.0000 0.0000 Sn
0.5000 0.5000 0.5000 Sn
0.0692 0.2049 0.9112 O
0.0692 0.2951 0.4112 O
0.2097 0.6746 0.9193 O
0.2097 0.8254 0.4193 O
0.3808 0.0850 0.7197 O
0.3808 0.4150 0.2197 O
0.6192 0.5850 0.7803 O
0.6192 0.9150 0.2803 O
0.7903 0.1746 0.5807 O
0.7903 0.3254 0.0807 O
0.9308 0.7049 0.5888 O
0.9308 0.7951 0.0888 O
```

Record 2
The following is a simulated X-ray diffraction stick pattern of YSnO3. It was derived from a DFT-relaxed cell (GGA-PBE, the Materials Project), using Cu Kα (λ = 1.5418 Å).
Neutral-atom scattering factors, no anomalous dispersion.

Peak list (12 most intense, 10° ≤ 2θ ≤ 90°, low angle first)
| d (Å) | two_theta | I (rel.) |
| --- | --- | --- |
| 3.144 | 28.4 | 51.8 |
| 3.114 | 28.7 | 100.0 |
| 2.862 | 31.3 | 87.7 |
| 2.550 | 35.2 | 26.6 |
| 1.981 | 45.8 | 29.8 |
| 1.855 | 49.1 | 52.0 |
| 1.756 | 52.1 | 27.5 |
| 1.598 | 57.7 | 42.8 |
| 1.594 | 57.9 | 13.5 |
| 1.557 | 59.4 | 15.4 |
| 1.199 | 80.0 | 12.2 |
| 1.193 | 80.5 | 13.5 |

```
YSnO3
1.0
6.4271 0.0000 0.0000
-3.2136 5.5660 0.0000
0.0000 0.0000 12.5764
Y Sn O
6 6 18
Direct
0.0000 0.0000 0.0000 Y
0.0000 0.0000 0.5000 Y
0.3333 0.6667 0.4679 Y
0.3333 0.6667 0.9679 Y
0.6667 0.3333 0.4679 Y
0.6667 0.3333 0.9679 Y
0.0000 0.3331 0.2316 Sn
0.0000 0.6669 0.7316 Sn
0.3331 0.0000 0.2316 Sn
0.3331 0.3331 0.7316 Sn
0.6669 0.0000 0.7316 Sn
0.6669 0.6669 0.2316 Sn
0.0000 0.0000 0.2024 O
0.0000 0.0000 0.7024 O
0.0000 0.3091 0.4052 O
0.0000 0.3596 0.0599 O
0.0000 0.6404 0.5599 O
0.0000 0.6909 0.9052 O
0.3091 0.0000 0.4052 O
0.3091 0.3091 0.9052 O
0.3333 0.6667 0.2568 O
0.3333 0.6667 0.7568 O
0.3596 0.0000 0.0599 O
0.3596 0.3596 0.5599 O
0.6404 0.0000 0.5599 O
0.6404 0.6404 0.0599 O
0.6667 0.3333 0.2568 O
0.6667 0.3333 0.7568 O
0.6909 0.0000 0.9052 O
0.6909 0.6909 0.4052 O
```


# 1
YSc2Bi3: theoretical X-ray diffraction stick pattern (Cu Kα), based on the GGA-PBE geometry in Alexandria.
Neutral-atom scattering factors, no anomalous dispersion.

Main lines, sorted by position (10 to 90 degrees two-theta):
2θ = 25.12°, intensity 56; 2θ = 29.08°, intensity 100; 2θ = 41.57°, intensity 64; 2θ = 41.72°, intensity 13; 2θ = 49.16°, intensity 20; 2θ = 51.48°, intensity 14; 2θ = 51.62°, intensity 13; 2θ = 68.19°, intensity 12; 2θ = 68.31°, intensity 17; 2θ = 75.81°, intensity 13

Cell and atoms:
Cell: 6.1541 13.0386 8.6595 Å, 90.00 90.00 90.00°
Fractional coordinates of all 24 atoms:
Y 0.2503 0.0784 0.1261
Y 0.2503 0.4216 0.6261
Y 0.7497 0.5784 0.3739
Y 0.7497 0.9216 0.8739
Sc 0.2489 0.7435 0.6255
Sc 0.2489 0.7565 0.1255
Sc 0.2504 0.0856 0.6251
Sc 0.2504 0.4144 0.1251
Sc 0.7496 0.5856 0.8749
Sc 0.7496 0.9144 0.3749
Sc 0.7511 0.2435 0.8745
Sc 0.7511 0.2565 0.3745
Bi 0.2497 0.5874 0.3637
Bi 0.2496 0.5880 0.8869
Bi 0.2496 0.9120 0.3869
Bi 0.2497 0.9126 0.8637
Bi 0.2509 0.2493 0.8754
Bi 0.2509 0.2507 0.3754
Bi 0.7491 0.7493 0.6246
Bi 0.7491 0.7507 0.1246
Bi 0.7503 0.0874 0.1363
Bi 0.7504 0.0880 0.6131
Bi 0.7504 0.4120 0.1131
Bi 0.7503 0.4126 0.6363
'''
### Completed
Record 1
The following is a simulated X-ray diffraction stick pattern of YSnO3. It was derived from a DFT-relaxed cell (GGA-PBE, the Materials Project), using Cu Kα (λ = 1.5418 Å).
Neutral-atom scattering factors, no anomalous dispersion.

Peak list (12 most intense, 10° ≤ 2θ ≤ 90°, low angle first)
| d (Å) | two_theta | I (rel.) |
| --- | --- | --- |
| 2.971 | 30.1 | 100.0 |
| 2.959 | 30.2 | 74.1 |
| 2.831 | 31.6 | 27.1 |
| 2.150 | 42.0 | 16.7 |
| 2.048 | 44.2 | 25.3 |
| 1.741 | 52.6 | 16.7 |
| 1.717 | 53.3 | 9.9 |
| 1.712 | 53.5 | 20.5 |
| 1.663 | 55.2 | 16.4 |
| 1.656 | 55.5 | 16.3 |
| 1.486 | 62.5 | 8.0 |
| 1.351 | 69.6 | 8.5 |

```
YSnO3
1.0
5.6621 0.0000 0.0000
0.0000 5.9325 0.0000
-5.6066 0.0000 8.5995
Y Sn O
4 4 12
Direct
0.2262 0.0613 0.2497 Y
0.2262 0.4387 0.7497 Y
0.7738 0.5613 0.2503 Y
0.7738 0.9387 0.7503 Y
0.0000 0.0000 0.5000 Sn
0.0000 0.5000 0.0000 Sn
0.5000 0.0000 0.0000 Sn
0.5000 0.5000 0.5000 Sn
0.0692 0.2049 0.9112 O
0.0692 0.2951 0.4112 O
0.2097 0.6746 0.9193 O
0.2097 0.8254 0.4193 O
0.3808 0.0850 0.7197 O
0.3808 0.4150 0.2197 O
0.6192 0.5850 0.7803 O
0.6192 0.9150 0.2803 O
0.7903 0.1746 0.5807 O
0.7903 0.3254 0.0807 O
0.9308 0.7049 0.5888 O
0.9308 0.7951 0.0888 O
```

Record 2
The following is a simulated X-ray diffraction stick pattern of YSnO3. It was derived from a DFT-relaxed cell (GGA-PBE, the Materials Project), using Cu Kα (λ = 1.5418 Å).
Neutral-atom scattering factors, no anomalous dispersion.

Peak list (12 most intense, 10° ≤ 2θ ≤ 90°, low angle first)
| d (Å) | two_theta | I (rel.) |
| --- | --- | --- |
| 3.144 | 28.4 | 51.8 |
| 3.114 | 28.7 | 100.0 |
| 2.862 | 31.3 | 87.7 |
| 2.550 | 35.2 | 26.6 |
| 1.981 | 45.8 | 29.8 |
| 1.855 | 49.1 | 52.0 |
| 1.756 | 52.1 | 27.5 |
| 1.598 | 57.7 | 42.8 |
| 1.594 | 57.9 | 13.5 |
| 1.557 | 59.4 | 15.4 |
| 1.199 | 80.0 | 12.2 |
| 1.193 | 80.5 | 13.5 |

```
YSnO3
1.0
6.4271 0.0000 0.0000
-3.2136 5.5660 0.0000
0.0000 0.0000 12.5764
Y Sn O
6 6 18
Direct
0.0000 0.0000 0.0000 Y
0.0000 0.0000 0.5000 Y
0.3333 0.6667 0.4679 Y
0.3333 0.6667 0.9679 Y
0.6667 0.3333 0.4679 Y
0.6667 0.3333 0.9679 Y
0.0000 0.3331 0.2316 Sn
0.0000 0.6669 0.7316 Sn
0.3331 0.0000 0.2316 Sn
0.3331 0.3331 0.7316 Sn
0.6669 0.0000 0.7316 Sn
0.6669 0.6669 0.2316 Sn
0.0000 0.0000 0.2024 O
0.0000 0.0000 0.7024 O
0.0000 0.3091 0.4052 O
0.0000 0.3596 0.0599 O
0.0000 0.6404 0.5599 O
0.0000 0.6909 0.9052 O
0.3091 0.0000 0.4052 O
0.3091 0.3091 0.9052 O
0.3333 0.6667 0.2568 O
0.3333 0.6667 0.7568 O
0.3596 0.0000 0.0599 O
0.3596 0.3596 0.5599 O
0.6404 0.0000 0.5599 O
0.6404 0.6404 0.0599 O
0.6667 0.3333 0.2568 O
0.6667 0.3333 0.7568 O
0.6909 0.0000 0.9052 O
0.6909 0.6909 0.4052 O
```


# 1
YSc2Bi3: theoretical X-ray diffraction stick pattern (Cu Kα), based on the GGA-PBE geometry in Alexandria.
Neutral-atom scattering factors, no anomalous dispersion.

Main lines, sorted by position (10 to 90 degrees two-theta):
2θ = 25.12°, intensity 56; 2θ = 29.08°, intensity 100; 2θ = 41.57°, intensity 64; 2θ = 41.72°, intensity 13; 2θ = 49.16°, intensity 20; 2θ = 51.48°, intensity 14; 2θ = 51.62°, intensity 13; 2θ = 68.19°, intensity 12; 2θ = 68.31°, intensity 17; 2θ = 75.81°, intensity 13

Cell and atoms:
Cell: 6.1541 13.0386 8.6595 Å, 90.00 90.00 90.00°
Fractional coordinates of all 24 atoms:
Y 0.2503 0.0784 0.1261
Y 0.2503 0.4216 0.6261
Y 0.7497 0.5784 0.3739
Y 0.7497 0.9216 0.8739